(Request)
Could you find the line underneath that holds "[2]", then retype that line and all lines after it there?
(Contents)
____________
[1]
Here is Ba2TaFe after structural relaxation from the Alexandria database. Energies are from PBEsol.

Energy above the lowest structure with this stoichiometry   0 meV/atom
Space group   Cmmm (65)
Formation enthalpy at 0 K   5.3 eV per formula unit

Cell: 5.983 5.983 3.203 Å, 90.00 90.00 114.16°
Fractional positions:
1 Ba 0.000 0.500 0.000
2 Ba 0.500 0.000 0.000
3 Ta 0.000 0.000 0.500
4 Fe 0.500 0.500 0.500



[2]
Here is Ba2TaFe after structural relaxation from the Alexandria database. Energies are from PBEsol.

Energy above the lowest structure with this stoichiometry   55 meV/atom
Space group   P4/mmm (123)
Formation enthalpy at 0 K   5.5 eV per formula unit

Cell: 4.427 4.427 5.249 Å, 90.00 90.00 90.00°
Fractional positions:
1 Ba 0.000 0.500 0.000
2 Ba 0.500 0.000 0.000
3 Ta 0.000 0.000 0.500
4 Fe 0.500 0.500 0.500



[3]
Here is BaTaZnFe2 after structural relaxation from the Alexandria database. Energies are from PBEsol.

Space group   P4/mmm (123)
Formation enthalpy at 0 K   4.5 eV per formula unit

Cell: 4.659 4.659 5.228 Å, 90.00 90.00 90.00°
Fractional positions:
1 Ba 0.000 0.000 0.000
2 Ta 0.500 0.500 0.500
3 Zn 0.500 0.500 0.000
4 Fe 0.000 0.500 0.500
5 Fe 0.500 0.000 0.500



[4]
Here is Ba2FeTc after structural relaxation from the Alexandria database. Energies are from PBEsol.

Space group   Cmm2 (35)
Formation enthalpy at 0 K   2.6 eV per formula unit

Cell: 3.358 3.358 9.546 Å, 90.00 90.00 93.04°
Fractional positions:
1 Ba 0.000 0.000 0.000
2 Ba 0.500 0.500 0.418
3 Fe 0.000 0.000 0.688
4 Tc 0.500 0.500 0.725



> What is the formation enthalpy at 0 K in the second record?

5.5 eV per formula unit



> formation enthalpy at 0 K of number 3 (BaTaZnFe2)?

4.5 eV per formula unit


--- one ---
VASP calculation (PBE) on a relaxed structure of NbIrS3.

The structure in extended XYZ format:
```
5
Lattice="4.7457 0.0000 0.0000 0.0000 4.7457 0.0000 0.0000 0.0000 4.7457" Properties=species:S:1:pos:R:3 pbc="T T T"
Nb 0.0000 0.0000 0.0000
Ir 2.3729 2.3729 2.3729
S 0.0000 0.0000 2.3729
S 0.0000 2.3729 0.0000
S 2.3729 0.0000 0.0000
```

**Total magnetic moment**: 2.51 μB per cell


--- two ---
VASP calculation (PBE) on a relaxed structure of NbIrS3.

The structure in extended XYZ format:
```
5
Lattice="4.5633 0.0000 0.0000 0.0000 4.5633 0.0000 0.0000 0.0000 4.5633" Properties=species:S:1:pos:R:3 pbc="T T T"
Nb 0.0000 0.0000 0.0000
Ir 2.2816 2.2816 2.2816
S 0.0000 2.2816 2.2816
S 2.2816 0.0000 2.2816
S 2.2816 2.2816 0.0000
```

**Total magnetic moment**: 0.00 μB per cell


Least stable: one


--- one ---
VASP calculation (PBE) on a relaxed structure of NbIrS2.

The structure in extended XYZ format:
```
4
Lattice="1.5649 0.9035 7.8923 -1.5649 0.9035 7.8923 0.0000 -1.8069 7.8923" Properties=species:S:1:pos:R:3 pbc="T T T"
Nb 0.0000 0.0000 0.0000
Ir 0.0000 0.0000 11.8384
S 0.0000 0.0000 9.5788
S 0.0000 0.0000 14.0981
```

**Total magnetic moment**: 0.00 μB per cell


--- two ---
VASP calculation (PBE) on a relaxed structure of NbIrS2.

The structure in extended XYZ format:
```
4
Lattice="0.0000 3.0736 3.0736 3.0736 0.0000 3.0736 3.0736 3.0736 0.0000" Properties=species:S:1:pos:R:3 pbc="T T T"
Nb 0.0000 0.0000 0.0000
Ir 3.0736 3.0736 3.0736
S 1.5368 1.5368 1.5368
S 4.6105 4.6105 4.6105
```

**Total magnetic moment**: 0.00 μB per cell


Least stable: two


--- one ---
VASP calculation (PBE) on a relaxed structure of NbIrS2.

The structure in extended XYZ format:
```
8
Lattice="-2.7351 2.7351 5.2415 2.7351 -2.7351 5.2415 2.7351 2.7351 -5.2415" Properties=species:S:1:pos:R:3 pbc="T T T"
Nb 0.0000 0.0000 0.0000
Nb 0.0000 2.7351 2.6208
Ir 2.7351 0.0000 2.6208
Ir 0.0000 0.0000 5.2415
S 1.3676 -1.2908 3.9311
S 1.4443 1.3676 1.3104
S 1.3676 4.0259 -1.3104
S 1.2908 1.3676 6.5519
```

**Total magnetic moment**: 0.00 μB per cell


--- two ---
VASP calculation (PBE) on a relaxed structure of NbIrS2.

The structure in extended XYZ format:
```
4
____________
(Outcome)
[2]
Here is Ba2TaFe after structural relaxation from the Alexandria database. Energies are from PBEsol.

Energy above the lowest structure with this stoichiometry   55 meV/atom
Space group   P4/mmm (123)
Formation enthalpy at 0 K   5.5 eV per formula unit

Cell: 4.427 4.427 5.249 Å, 90.00 90.00 90.00°
Fractional positions:
1 Ba 0.000 0.500 0.000
2 Ba 0.500 0.000 0.000
3 Ta 0.000 0.000 0.500
4 Fe 0.500 0.500 0.500



[3]
Here is BaTaZnFe2 after structural relaxation from the Alexandria database. Energies are from PBEsol.

Space group   P4/mmm (123)
Formation enthalpy at 0 K   4.5 eV per formula unit

Cell: 4.659 4.659 5.228 Å, 90.00 90.00 90.00°
Fractional positions:
1 Ba 0.000 0.000 0.000
2 Ta 0.500 0.500 0.500
3 Zn 0.500 0.500 0.000
4 Fe 0.000 0.500 0.500
5 Fe 0.500 0.000 0.500



[4]
Here is Ba2FeTc after structural relaxation from the Alexandria database. Energies are from PBEsol.

Space group   Cmm2 (35)
Formation enthalpy at 0 K   2.6 eV per formula unit

Cell: 3.358 3.358 9.546 Å, 90.00 90.00 93.04°
Fractional positions:
1 Ba 0.000 0.000 0.000
2 Ba 0.500 0.500 0.418
3 Fe 0.000 0.000 0.688
4 Tc 0.500 0.500 0.725



> What is the formation enthalpy at 0 K in the second record?

5.5 eV per formula unit



> formation enthalpy at 0 K of number 3 (BaTaZnFe2)?

4.5 eV per formula unit


--- one ---
VASP calculation (PBE) on a relaxed structure of NbIrS3.

The structure in extended XYZ format:
```
5
Lattice="4.7457 0.0000 0.0000 0.0000 4.7457 0.0000 0.0000 0.0000 4.7457" Properties=species:S:1:pos:R:3 pbc="T T T"
Nb 0.0000 0.0000 0.0000
Ir 2.3729 2.3729 2.3729
S 0.0000 0.0000 2.3729
S 0.0000 2.3729 0.0000
S 2.3729 0.0000 0.0000
```

**Total magnetic moment**: 2.51 μB per cell


--- two ---
VASP calculation (PBE) on a relaxed structure of NbIrS3.

The structure in extended XYZ format:
```
5
Lattice="4.5633 0.0000 0.0000 0.0000 4.5633 0.0000 0.0000 0.0000 4.5633" Properties=species:S:1:pos:R:3 pbc="T T T"
Nb 0.0000 0.0000 0.0000
Ir 2.2816 2.2816 2.2816
S 0.0000 2.2816 2.2816
S 2.2816 0.0000 2.2816
S 2.2816 2.2816 0.0000
```

**Total magnetic moment**: 0.00 μB per cell


Least stable: one


--- one ---
VASP calculation (PBE) on a relaxed structure of NbIrS2.

The structure in extended XYZ format:
```
4
Lattice="1.5649 0.9035 7.8923 -1.5649 0.9035 7.8923 0.0000 -1.8069 7.8923" Properties=species:S:1:pos:R:3 pbc="T T T"
Nb 0.0000 0.0000 0.0000
Ir 0.0000 0.0000 11.8384
S 0.0000 0.0000 9.5788
S 0.0000 0.0000 14.0981
```

**Total magnetic moment**: 0.00 μB per cell


--- two ---
VASP calculation (PBE) on a relaxed structure of NbIrS2.

The structure in extended XYZ format:
```
4
Lattice="0.0000 3.0736 3.0736 3.0736 0.0000 3.0736 3.0736 3.0736 0.0000" Properties=species:S:1:pos:R:3 pbc="T T T"
Nb 0.0000 0.0000 0.0000
Ir 3.0736 3.0736 3.0736
S 1.5368 1.5368 1.5368
S 4.6105 4.6105 4.6105
```

**Total magnetic moment**: 0.00 μB per cell


Least stable: two


--- one ---
VASP calculation (PBE) on a relaxed structure of NbIrS2.

The structure in extended XYZ format:
```
8
Lattice="-2.7351 2.7351 5.2415 2.7351 -2.7351 5.2415 2.7351 2.7351 -5.2415" Properties=species:S:1:pos:R:3 pbc="T T T"
Nb 0.0000 0.0000 0.0000
Nb 0.0000 2.7351 2.6208
Ir 2.7351 0.0000 2.6208
Ir 0.0000 0.0000 5.2415
S 1.3676 -1.2908 3.9311
S 1.4443 1.3676 1.3104
S 1.3676 4.0259 -1.3104
S 1.2908 1.3676 6.5519
```

**Total magnetic moment**: 0.00 μB per cell


--- two ---
VASP calculation (PBE) on a relaxed structure of NbIrS2.

The structure in extended XYZ format:
```
4